Tag: agorism
Oleh: Vikky Storm. Teks aslinya berjudul “Egoist Agorism.” Diterjemahkan ke dalam Bahasa Indonesia oleh Ameyuri Ringo. “Persaingan bebas sejatinya tidaklah “bebas” karena Saya tidak memiliki modal apapun untuk berkompetisi. Tidak ada yang melarangku, namun karena Saya tidak memiliki modal, maka Saya menjadi tersingkir. Dan siapa yang memiliki modal-modal produksi tersebut? Para kelas pemodal? Wahh, Saya…
-- What comes next are data records, not part of the piece --
┌──
Entry 1:
72
Properties=species:S:1:pos:R:3:lowdin_charge:R:1 method="wB97M-V/def2-TZVPD" homo_lumo_gap_ev=7.8 lumo_energy_ev=2.26 de_lowest_kcal_mol=0.0 charge=-1
N -0.20 -1.37 0.47 -0.5744
O -0.71 -0.21 0.47 -0.1121
O -0.41 -2.11 1.46 -0.0454
O 0.51 -1.79 -0.47 -0.0410
C 0.32 4.11 1.21 -0.1581
C -0.49 3.03 0.41 -0.1831
O -0.14 3.23 -0.95 -0.1857
S 0.33 4.75 -1.18 0.6020
O -0.79 5.63 -1.22 -0.2216
O 1.26 4.77 -2.25 -0.2242
O 1.07 4.80 0.22 -0.2039
H 1.03 3.58 1.85 0.1198
H -0.32 4.75 1.81 0.1080
H -1.55 3.15 0.65 0.1121
H -0.23 2.01 0.69 0.0820
O -1.05 -5.91 -3.25 -0.2973
S -0.03 -4.94 -2.95 0.5814
O 0.59 -4.94 -1.67 -0.2580
O 1.10 -5.15 -4.08 -0.2848
C 2.31 -4.38 -3.99 -0.2698
C 2.84 -4.25 -5.41 -0.0646
C -0.65 -3.33 -3.41 -0.1130
H 3.01 -4.92 -3.35 0.1200
H 2.11 -3.43 -3.50 0.1149
H 3.92 -4.10 -5.40 0.0739
H 2.27 -3.44 -5.85 0.0758
H 2.73 -5.20 -5.93 0.0769
H -1.69 -3.27 -3.09 0.0449
H -0.67 -3.28 -4.50 0.0755
H -0.05 -2.60 -2.88 0.0571
O 2.32 -0.68 3.46 -0.2697
S 3.03 -0.41 2.24 0.5640
O 3.33 -1.48 1.33 -0.2688
O 2.35 0.79 1.47 -0.2661
C 2.47 0.98 0.04 -0.2316
C 3.25 2.25 -0.19 -0.0449
C 4.61 0.29 2.70 -0.1230
H 1.44 0.94 -0.33 0.1007
H 2.88 0.09 -0.44 0.1186
H 3.28 2.53 -1.25 0.0877
H 4.27 2.10 0.17 0.0670
H 2.87 3.11 0.36 0.0645
H 5.11 0.69 1.83 0.0527
H 5.20 -0.45 3.23 0.0664
H 4.42 1.11 3.40 0.0659
O -2.85 -1.39 -2.37 -0.2929
S -3.87 -0.50 -1.88 0.6077
O -4.82 0.07 -2.80 -0.2858
O -4.58 -1.26 -0.68 -0.2606
C -4.13 -2.53 -0.22 -0.2551
C -5.25 -3.25 0.50 -0.0774
C -3.11 0.82 -0.94 -0.1161
H -3.34 -2.38 0.53 0.1271
H -3.73 -3.13 -1.04 0.1140
H -6.17 -3.23 -0.11 0.0790
H -5.52 -2.78 1.45 0.0759
H -5.04 -4.27 0.79 0.0784
H -2.85 0.34 0.00 0.0463
H -3.85 1.61 -0.88 0.0698
H -2.25 1.20 -1.48 0.0697
C -1.51 3.66 3.58 -0.1260
C -0.53 4.11 4.48 -0.1037
C 0.52 3.26 4.77 -0.0937
C 0.55 1.97 4.23 -0.0802
C -0.38 1.56 3.29 -0.0615
C -1.43 2.42 2.97 -0.1237
H -2.41 4.28 3.58 0.1081
H -0.65 5.13 4.81 0.0974
H 1.32 3.48 5.47 0.0968
H 1.26 1.29 4.69 0.0938
H -0.40 0.55 2.88 0.1038
H -2.27 1.97 2.46 0.1180


Entry 2:
17
Properties=species:S:1:pos:R:3:lowdin_spin:R:1 method="wB97M-V/def2-TZVPD" homo_lumo_gap_ev="7.6 / 6.3" lumo_energy_ev="-3.20 / -7.93" spin_multiplicity=3 de_lowest_kcal_mol=46.3 s2=2.01 charge=+1
C 0.18 -0.04 -2.07 0.0340
C -0.05 -1.07 -1.00 0.1038
C 0.52 -0.09 1.16 0.5821
N -1.25 1.30 1.74 0.1090
N -0.17 -0.78 0.33 0.5710
S 1.04 -0.83 2.60 0.4784
H -0.66 0.58 -2.14 0.0044
H 1.00 0.75 -1.67 -0.0006
H 0.52 -0.35 -3.13 -0.0007
H 0.82 -1.63 -1.14 0.0505
H -0.85 -1.63 -1.31 0.0026
H 1.20 0.69 0.62 0.0088
H -1.03 2.36 1.70 0.0013
H -1.53 1.52 2.67 0.0074
H -0.81 -1.39 0.80 0.0114
H -2.43 1.30 1.31 0.0117
H 2.21 -0.23 2.42 0.0248


Entry 3:
97
Properties=species:S:1:pos:R:3:lowdin_charge:R:1 method="wB97M-V/def2-TZVPD" homo_lumo_gap_ev=7.4 lumo_energy_ev=-1.82 smiles="O=C1C=C(O)C(=O)C=C1O.O=C1C=C(O)C(=O)C=C1O.O=C1C=C(O)C(=O)C=C1O.C[N+](=O)[O-].C[N+](=O)[O-].C[N+](=O)[O-].COC[C@H](C)N.COC[C@H](C)N"
O -0.83 -1.33 -0.02 0.1072
└──
-- Here the piece continues --
Por Roderick Long. Título original: Looking for Daylight: Minarchist Strategy’s Missteps, del 13 de septiembre 2018. Traducido al español por Vince Cerberus. Los editores de la revista Reason, Nick Gillespie y Katherine Mangu-Ward, han debatido recientemente la cuestión del minarquismo (es decir, gobierno mínimo) versus anarquismo de libre mercado. Como anarquista, obviamente estoy del lado…
• Inserted here: calculated molecules:
<<<
[1]
{
  "formula": "C6H10",
  "method": "ωB97M-V/def2-TZVPD",
  "elements": ["C", "C", "C", "C", "C", "C", "H", "H", "H", "H", "H", "H", "H", "H", "H", "H"],
  "xyz": [[1.516, -0.805, -0.486], [0.094, -0.627, -1.001], [-1.062, 0.050, 1.037], [-1.271, -0.285, -0.434], [0.294, 0.801, 0.978], [0.860, 0.541, -0.431], [-2.119, -0.917, -0.704], [0.164, 1.874, 1.131], [-1.869, 0.690, 1.402], [0.991, 0.455, 1.752], [0.729, 1.392, -1.100], [2.199, -1.073, -1.289], [1.810, -1.240, 0.472], [-1.027, -0.837, 1.681], [-1.403, 0.718, -0.925], [0.094, -0.738, -2.084]],
  "charge": 0,
  "lumo_energy_ha": 0.0430,
  "orbital_gap_ha": 0.3726,
  "relative_energy_kcal_mol": 43.03,
  "spin_multiplicity": 1,
  "e_homo_ev": -8.97,
  "smiles": "C1C[C@@H]2C[C@@H]2C1"
}

=====

[2]
{
  "formula": "C6H10",
  "method": "ωB97M-V/def2-TZVPD",
  "elements": ["C", "C", "C", "C", "C", "C", "H", "H", "H", "H", "H", "H", "H", "H", "H", "H"],
  "xyz": [[-1.401, -1.262, -1.821], [1.164, -0.920, 0.470], [0.694, 1.356, -0.448], [0.051, 0.039, 0.011], [-0.707, -0.632, -1.064], [-0.976, 0.350, 1.115], [-0.060, 2.076, -0.780], [-0.508, 0.848, 1.971], [1.831, -1.134, -0.373], [0.755, -1.872, 0.823], [-1.744, 1.017, 0.706], [-2.029, -1.824, -2.476], [-1.475, -0.561, 1.458], [1.762, -0.471, 1.272], [1.236, 1.796, 0.399], [1.408, 1.196, -1.262]],
  "charge": 0,
  "lumo_energy_ha": 0.0347,
  "orbital_gap_ha": 0.3996,
  "relative_energy_kcal_mol": 31.45,
  "spin_multiplicity": 1,
  "e_homo_ev": -9.93,
  "smiles": "C#CC(C)(C)C"
}

=====

[3]
{
  "formula": "C6H10",
  "method": "ωB97M-V/def2-TZVPD",
  "elements": ["C", "C", "C", "C", "C", "C", "H", "H", "H", "H", "H", "H", "H", "H", "H", "H"],
  "xyz": [[0.418, -1.159, -0.023], [0.987, 1.151, -0.287], [-0.488, 0.945, -0.610], [1.454, -0.166, 0.396], [-1.410, 0.524, 0.486], [-0.772, -0.534, -0.401], [-1.487, -1.498, -0.607], [-2.477, 0.692, 0.376], [-1.040, 0.572, 1.511], [0.523, -2.241, -0.105], [-1.402, -2.533, 0.028], [-0.921, 1.440, -1.477], [2.476, -0.459, 0.139], [1.167, 2.034, 0.335], [1.538, 1.278, -1.226], [1.420, -0.071, 1.496]],
  "charge": 0,
  "lumo_energy_ha": [0.0154, -0.0147],
  "orbital_gap_ha": [0.3227, 0.2426],
  "relative_energy_kcal_mol": 133.56,
  "spin_multiplicity": 1,
  "e_homo_ev": [-8.36, -7.00]
}

=====

[4]
{
  "formula": "C6H10",
  "method": "ωB97M-V/def2-TZVPD",
  "elements": ["C", "C", "C", "C", "C", "C", "H", "H", "H", "H", "H", "H", "H", "H", "H", "H"],
  "xyz": [[-2.028, -0.959, 0.074], [1.619, 0.532, 1.305], [-1.410, -0.258, -1.127], [-0.036, -0.786, -1.357], [1.758, 0.733, -0.211], [0.956, -0.218, -0.953], [-2.097, -2.032, -0.115], [1.808, -0.514, 1.558], [1.405, 1.741, -0.499], [2.784, 0.634, -0.557], [-1.234, 0.789, -0.843], [0.618, 0.785, 1.682], [-3.018, -0.532, 0.242], [-1.432, -0.818, 0.989], [-2.037, -0.254, -2.019], [2.343, 1.157, 1.831]],
  "charge": 0,
  "lumo_energy_ha": 0.0386,
  "orbital_gap_ha": 0.3757,
  "relative_energy_kcal_mol": 62.60,
  "spin_multiplicity": 1,
  "e_homo_ev": -9.17,
>>>
Oleh: Logan Marie Glitterbomb. Teks aslinya berjudul “White Market Agorism.” Diterjemahkan ke dalam Bahasa Indonesia oleh Ameyuri Ringo. Dalam setiap gerakan politik yang mengkehendaki adanya perubahan secara radikal pada masyarakat, akan selalu muncul perdebatan mengenai bagaimana cara terbaik untuk meraih hal tersebut. Apakah kita harus berserikat dan mengadakan mogok kerja? Apakah kita harus menarik diri…
De Joel Williamson. Artigo original: Autonomy and Action, de 12 de julho de 2016. Traduzido para o português por Gabriel Camargo. “Em seus esforços para realizar o impossível, o homem atinge o que é possível. Aqueles que, com cautela, não fizeram mais do que acreditavam ser possível, nunca deram um único passo à frente.” –…
In my previous article “In Lieu of Free Banking,” I outline the mutualist and individualist anarchist arguments for free and mutual banking, its potential ability to empower labor, and, briefly, some immediate proxies available via credit unions and alternative currencies. But I also point to Laurance Labadie’s assessment of Benjamin Tucker’s (and later his own)…
C4SS Editing Coordinator Eric Fleischmann was recently featured on the Non-Serviam podcast. The discussion covers a broad range of topics from to Marxism and historical materialism to Laurance Labadie and the history of free-market-anti-capitalism to agorism and its left-wing fundamentals. From the Non-Serviam Episode Description: Eric Fleischmann (he/they) is an anarchist indebted to communistic and continental…
For the 24th installment of The Enragés, host Eric Fleischmann was joined by H.B. Dillon Williams IV (@MorpheusRage) to discuss their article Molotov Pill Bottle: Radical Answers to Failed Capitalist Healthcare (https://c4ss.org/content/56444). H.B. Dillon Williams IV (they/he) is a mexican-indigenous irish genderqueer anti-fascist anarchist rapper, father of three, activist, Magic player, and avid fan of dofflin…
Oleh: Benjamin. Teks aslinya berjudul “How Would Dual Power and Agorism Create a Free Society?” Diterjemahkan oleh Iman Amirullah. Penjelasan ini merupakan bagian dari seri FAQ Anarkisme Pasar C4SS “Kekuasaan ganda” dapat dijelaskan secara ringkas dalam frasa populer Wobbly, “membangun struktur baru masyarakat dalam cangkang yang lama.” Para pendukung strategi kekuasaan ganda berbagi kepercayaan yang…
Misplaced quantum chemistry results
┌──
# 1
ORCA calculation (ωB97M-V/def2-TZVPD) on a cluster of 8 separate species, C38H66FO11P in total.

The total charge is 0. Its SMILES is CCC(=O)OCCC1=C(CCCF)C(=O)C=C(P(C)CC)C1=O.CC(C)=O.CC(C)=O.CC(C)=O.CC(C)=O.CC(C)=O.CC(C)=O.CC(C)=O. For the LUMO energy, the calculation gives -0.810 eV. As for the spin multiplicity: 1. The highest occupied orbital energy is -8.078 eV. The strongest force on any atom is 0.61 eV Å⁻¹.

XYZ file:
```
117
C38H66FO11P, DFT ωB97M-V/def2-TZVPD
C -3.372 0.593 3.543
C -2.536 1.796 3.997
C -1.845 2.454 2.840
O -2.151 3.534 2.395
O -0.857 1.698 2.342
C -0.131 2.248 1.231
C 0.563 1.085 0.496
C -0.313 -0.139 0.521
C -1.435 -0.279 -0.202
C -1.889 0.714 -1.234
C -1.710 0.273 -2.701
C -2.462 -0.935 -3.203
F -1.764 -2.105 -2.872
C -2.304 -1.451 0.057
O -3.366 -1.598 -0.519
C -1.940 -2.397 1.132
C -0.784 -2.332 1.803
P -0.493 -3.592 3.099
C 0.275 -4.962 2.140
C 0.878 -2.985 4.174
C 0.421 -2.877 5.648
C 0.172 -1.265 1.388
O 1.349 -1.321 1.679
H -2.733 -0.147 3.061
H -3.866 0.147 4.397
H -4.153 0.923 2.856
H -3.187 2.537 4.457
H -1.821 1.483 4.760
H -0.814 2.766 0.562
H 0.601 2.952 1.627
H 0.781 1.365 -0.533
H 1.496 0.886 1.018
H -2.910 1.041 -1.027
H -1.260 1.600 -1.163
H -2.013 1.126 -3.315
H -0.647 0.117 -2.897
H -3.470 -1.009 -2.802
H -2.517 -0.914 -4.295
H -2.679 -3.149 1.384
H -0.496 -5.654 1.803
H 0.965 -5.497 2.789
H 0.825 -4.618 1.266
H 1.223 -2.007 3.848
H 1.741 -3.645 4.078
H 0.015 -1.881 5.825
H -0.336 -3.622 5.883
H 1.284 -2.992 6.304
C -1.623 -5.521 -7.176
C -1.298 -4.177 -6.568
C -1.018 -4.145 -5.088
O -1.270 -3.173 -7.244
H -1.808 -5.411 -8.242
H -0.791 -6.211 -7.021
H -2.508 -5.942 -6.697
H -0.165 -4.787 -4.857
H -1.883 -4.509 -4.532
H -0.799 -3.130 -4.775
C -3.923 1.206 8.927
C -4.475 0.916 7.553
C -5.950 1.164 7.346
O -3.771 0.505 6.660
H -2.858 0.988 8.947
H -4.084 2.255 9.181
H -4.432 0.591 9.671
H -6.183 2.212 7.543
H -6.532 0.548 8.034
H -6.224 0.920 6.323
C 3.518 -5.336 -0.796
C 3.854 -6.123 0.449
C 5.079 -7.003 0.383
O 3.176 -6.051 1.446
H 2.623 -4.742 -0.627
H 4.346 -4.672 -1.053
H 3.350 -6.015 -1.634
H 5.962 -6.398 0.168
H 4.968 -7.741 -0.412
H 5.214 -7.513 1.334
C -3.318 -1.916 -9.296
C -4.325 -2.281 -10.357
C -5.382 -1.250 -10.679
O -4.295 -3.348 -10.926
H -2.613 -2.728 -9.154
H -2.774 -1.017 -9.590
H -3.824 -1.716 -8.350
H -4.912 -0.328 -11.025
H -5.965 -1.021 -9.785
H -6.044 -1.631 -11.454
C 2.745 5.789 5.110
C 2.252 5.381 3.744
C 0.844 5.776 3.380
O 2.956 4.765 2.974
H 3.767 5.447 5.249
H 2.710 6.876 5.208
H 2.108 5.354 5.881
H 0.742 6.862 3.407
H 0.137 5.333 4.083
H 0.613 5.421 2.378
C 4.480 1.123 -2.341
C 3.168 1.649 -2.869
C 3.232 2.861 -3.766
O 2.117 1.124 -2.585
H 4.298 0.255 -1.711
H 5.131 0.841 -3.170
H 4.984 1.895 -1.757
H 3.837 2.643 -4.647
H 3.691 3.696 -3.233
H 2.228 3.140 -4.077
C 6.326 7.753 -0.400
C 5.451 7.506 0.808
C 5.096 6.073 1.113
O 5.056 8.419 1.495
H 6.507 8.820 -0.511
H 7.278 7.234 -0.284
H 5.836 7.375 -1.299
H 6.004 5.492 1.286
H 4.557 5.633 0.272
H 4.468 6.028 1.996
```

# 2
└──
Oleh: Jesse Baldwin. Teks aslinya berjudul “The Black Market Correction.” Diterjemahkan oleh Sachadru. Sangat menarik melihat kaum Kiri progresif bersatu melawan pelarangan narkoba. Mereka tidak bersama kita dalam semangat, juga seharusnya tidak, tetapi mereka telah meletakkan dasar untuk kritiknya, dan dengan cara yang dijahit dengan benang yang sama dari kesamaan kita yang lewat. Banyak yang…
Recently I received an email from eBay outlining the following: Tell Congress to Stop Requiring Unnecessary Tax Reporting and Protect Seller Privacy A problematic tax reporting provision will force millions of Americans to receive confusing and burdensome IRS forms. These additional income tax forms (1099-K) will be issued for the sale of virtually all goods,…
De Eric Fleischmann. Artículo original: A Brief Look Back at Ithaca HOURS, del 23 de julio de 2022. Traducido al español por Camila Figueroa. Una de las monedas comunitarias más famosas de Estados Unidos es Ithaca HOURS, por lo que un repaso a su historia, función y eficacia parece apropiado en cualquier momento. Como cuenta…
Eric Fleischmann. Originale pubblicato il 23 luglio 2022 con il titolo A Brief Look Back at Ithaca HOURS. Traduzione di Enrico Sanna. Ithaca HOURS è una delle più famose valute comunitarie negli Stati Uniti; un’analisi della sua storia, il funzionamento e l’efficacia non è mai fuori luogo. Racconta l’antropologo Bill Maurer nel suo libro Mutual…
One of the most famous community currencies in the United States is Ithaca HOURS, so a review of its history, function, and effectiveness seems appropriate at any time. As accounted by anthropologist Bill Maurer in his book Mutual Life, Limited: Islamic Banking, Alternative Currencies, Lateral Reason, Ithaca HOURS was started in 1991 in Ithaca, New…
This month we are joined by Logan Marie Glitterbomb, leading an awesome conversation about the fundamentals of Agorism, as well as its lesser-known forms and environmentalist potential. We’re also talking about Mardi Gras, Logan’s legal incident, gun control and more. A Catholic anarchist-without-adjectives, Logan Marie discovered anarchism through the punk scene in high school and…
I have a saying that goes something like: ‘I don’t trust anybody who thinks taxation is theft but profit isn’t.’ The former is a common sentiment among libertarians left and right, who argue, like Michael Huemer, that “[w]hen the government ‘taxes’ citizens, what this means is that the government demands money from each citizen, under…
De Jason Lee Byas. Artigo original: Ross Ulbricht and the Courage to Break the Law, de 9 de novembro 2020. Traduzido para o português por Diogo Ladeira Sales. Os advogados dele dizem que não vão recorrer. As acusações pelas quais ele vai possivelmente passar o resto da vida na prisão gravitam em torno do marketplace…
[Hear an in-depth discussion on this article and its topics in this episode of The Enragés] There is an odd side to the American Dream. One deemed worthless long ago, by the Soviets, by the Maoists, by the BPP. There exists a culture of greed. Though most people lack an in-depth understanding of economic terms…
Green Market Agorist Episode 15: Economic Calculation in the Spooky Commonwealth (feat. James Weeks)
Do we still need bosses? What would a real free-market look like? Can egoists work a day job? Dig into these questions and more with the always-amusing James Weeks and your host Logan Marie Glitterbomb. Running show notes for Green Market Agorist: Logan’s legal fund: https://gogetfunding.com/legal-defense-for-logan-glitterbomb/ LIMITED EDITION shirt to help fund with Logan’s legal…
Oleh: Joel Williamson. Teks aslinya berjudul “Autonomy and Action.” Diterjemahkan oleh Ameyuri Ringo. “Saat berupaya melakukan hal yang tidak mungkin, manusia selalu mencapai apa yang mungkin. Mereka yang ketakutan untuk melakukan sesuatu yang tidak lebih dari yang mereka yakini mungkin, tidak pernah mengambil satu langkah maju.” – Dikaitkan dengan Mikhail Bakunin dalam The Explorers karya…
In this episode of Green Market Agorist, Logan Glitterbomb interviews recent addition to the C4SS podcast team, Leslee Petersen. Leslee joined the team to host The Hadal Quadrants, a new show on the C4SS podcast network. You can find the first episode here. We’ll also soon be migrating Green Market Agorist to the same hosting…